____________
# 1
For Mg5GaPd2, a DFT-relaxed cell (GGA-PBE, Alexandria) gives the calculated XRD peak list in this record (a wavelength of 1.5418 Å).
Kinematic intensities with the Lorentz-polarization factor, no thermal factor.

Cell and atoms:
Cell lengths 4.5855, 4.5855, 17.4550 Å; angles 90.00, 90.00, 120.00 degrees
Element x y z (fractional)
Mg: 0.0000 0.0000 0.1489
Mg: 0.0000 0.0000 0.3511
Mg: 0.0000 0.0000 0.6489
Mg: 0.0000 0.0000 0.8511
Mg: 0.3333 0.6667 0.0487
Mg: 0.3333 0.6667 0.2500
Mg: 0.3333 0.6667 0.4513
Mg: 0.6667 0.3333 0.5487
Mg: 0.6667 0.3333 0.7500
Mg: 0.6667 0.3333 0.9513
Ga: 0.3333 0.6667 0.7500
Ga: 0.6667 0.3333 0.2500
Pd: 0.3333 0.6667 0.6071
Pd: 0.3333 0.6667 0.8929
Pd: 0.6667 0.3333 0.1071
Pd: 0.6667 0.3333 0.3929

The 12 most intense peaks (2θ from 10° to 90°), in order of falling intensity:
d [Å]	I_rel
2.293	100.0
3.872	98.0
2.112	63.3
3.971	43.8
2.347	33.0
3.280	26.5
1.286	24.3
1.553	23.3
1.801	23.3
1.324	16.3
2.909	16.1
1.581	15.8



# 2
For MgGa9Pd3, a DFT-relaxed cell (GGA-PBE, Alexandria) gives the calculated XRD peak list in this record (a wavelength of 1.5418 Å).
Kinematic intensities with the Lorentz-polarization factor, no thermal factor.

Cell and atoms:
Cell lengths 6.9111, 6.9111, 6.9492 Å; angles 98.07, 98.07, 133.50 degrees
Element x y z (fractional)
Mg: 0.0000 0.0000 0.0000
Ga: 0.0000 0.0000 0.5000
Ga: 0.0028 0.6486 0.6564
Ga: 0.2960 0.5082 0.7933
Ga: 0.3514 0.9972 0.3436
Ga: 0.4918 0.7040 0.2067
Ga: 0.5082 0.2960 0.7933
Ga: 0.6486 0.0028 0.6564
Ga: 0.7040 0.4918 0.2067
Ga: 0.9972 0.3514 0.3436
Pd: 0.0000 0.5000 0.0000
Pd: 0.5000 0.0000 0.0000
Pd: 0.5000 0.5000 0.5000

The 12 most intense peaks (2θ from 10° to 90°), in order of falling intensity:
d [Å]	I_rel
2.271	100.0
2.049	73.9
4.540	58.0
2.068	54.0
2.366	48.7
2.309	42.4
2.012	32.6
2.130	30.2
2.261	21.5
2.678	21.4
1.308	19.3
1.339	18.8



# 3
For Mg3Ga2Pd, a DFT-relaxed cell (GGA-PBE, Alexandria) gives the calculated XRD peak list in this record (a wavelength of 1.5418 Å).
Kinematic intensities with the Lorentz-polarization factor, no thermal factor.

Cell and atoms:
Cell lengths 6.7669, 8.0500, 9.0024 Å; angles 90.00, 109.62, 90.00 degrees
Element x y z (fractional)
Mg: 0.1929 0.1352 0.1656
Mg: 0.1929 0.3648 0.6656
Mg: 0.2392 0.5652 0.9824
Mg: 0.2392 0.9348 0.4824
Mg: 0.2768 0.5546 0.3782
Mg: 0.2768 0.9454 0.8782
Mg: 0.7232 0.0546 0.1218
Mg: 0.7232 0.4454 0.6218
Mg: 0.7608 0.0652 0.5176
Mg: 0.7608 0.4348 0.0176
Mg: 0.8071 0.6352 0.3344
Mg: 0.8071 0.8648 0.8344
Ga: 0.0219 0.7271 0.6430
Ga: 0.0219 0.7729 0.1430
Ga: 0.4321 0.6707 0.7350
Ga: 0.4321 0.8293 0.2350
Ga: 0.5679 0.1707 0.7650
Ga: 0.5679 0.3293 0.2650
Ga: 0.9781 0.2271 0.8570
Ga: 0.9781 0.2729 0.3570
Pd: 0.3881 0.2443 0.4675
Pd: 0.3881 0.2557 0.9675
Pd: 0.6119 0.7443 0.0325
Pd: 0.6119 0.7557 0.5325
____________
Next, transcribe the notes further up without altering anything.
# 1
For Mg5GaPd2, a DFT-relaxed cell (GGA-PBE, Alexandria) gives the calculated XRD peak list in this record (a wavelength of 1.5418 Å).
Kinematic intensities with the Lorentz-polarization factor, no thermal factor.

Cell and atoms:
Cell lengths 4.5855, 4.5855, 17.4550 Å; angles 90.00, 90.00, 120.00 degrees
Element x y z (fractional)
Mg: 0.0000 0.0000 0.1489
Mg: 0.0000 0.0000 0.3511
Mg: 0.0000 0.0000 0.6489
Mg: 0.0000 0.0000 0.8511
Mg: 0.3333 0.6667 0.0487
Mg: 0.3333 0.6667 0.2500
Mg: 0.3333 0.6667 0.4513
Mg: 0.6667 0.3333 0.5487
Mg: 0.6667 0.3333 0.7500
Mg: 0.6667 0.3333 0.9513
Ga: 0.3333 0.6667 0.7500
Ga: 0.6667 0.3333 0.2500
Pd: 0.3333 0.6667 0.6071
Pd: 0.3333 0.6667 0.8929
Pd: 0.6667 0.3333 0.1071
Pd: 0.6667 0.3333 0.3929

The 12 most intense peaks (2θ from 10° to 90°), in order of falling intensity:
d [Å]	I_rel
2.293	100.0
3.872	98.0
2.112	63.3
3.971	43.8
2.347	33.0
3.280	26.5
1.286	24.3
1.553	23.3
1.801	23.3
1.324	16.3
2.909	16.1
1.581	15.8



# 2
For MgGa9Pd3, a DFT-relaxed cell (GGA-PBE, Alexandria) gives the calculated XRD peak list in this record (a wavelength of 1.5418 Å).
Kinematic intensities with the Lorentz-polarization factor, no thermal factor.

Cell and atoms:
Cell lengths 6.9111, 6.9111, 6.9492 Å; angles 98.07, 98.07, 133.50 degrees
Element x y z (fractional)
Mg: 0.0000 0.0000 0.0000
Ga: 0.0000 0.0000 0.5000
Ga: 0.0028 0.6486 0.6564
Ga: 0.2960 0.5082 0.7933
Ga: 0.3514 0.9972 0.3436
Ga: 0.4918 0.7040 0.2067
Ga: 0.5082 0.2960 0.7933
Ga: 0.6486 0.0028 0.6564
Ga: 0.7040 0.4918 0.2067
Ga: 0.9972 0.3514 0.3436
Pd: 0.0000 0.5000 0.0000
Pd: 0.5000 0.0000 0.0000
Pd: 0.5000 0.5000 0.5000

The 12 most intense peaks (2θ from 10° to 90°), in order of falling intensity:
d [Å]	I_rel
2.271	100.0
2.049	73.9
4.540	58.0
2.068	54.0
2.366	48.7
2.309	42.4
2.012	32.6
2.130	30.2
2.261	21.5
2.678	21.4
1.308	19.3
1.339	18.8



# 3
For Mg3Ga2Pd, a DFT-relaxed cell (GGA-PBE, Alexandria) gives the calculated XRD peak list in this record (a wavelength of 1.5418 Å).
Kinematic intensities with the Lorentz-polarization factor, no thermal factor.

Cell and atoms:
Cell lengths 6.7669, 8.0500, 9.0024 Å; angles 90.00, 109.62, 90.00 degrees
Element x y z (fractional)
Mg: 0.1929 0.1352 0.1656
Mg: 0.1929 0.3648 0.6656
Mg: 0.2392 0.5652 0.9824
Mg: 0.2392 0.9348 0.4824
Mg: 0.2768 0.5546 0.3782
Mg: 0.2768 0.9454 0.8782
Mg: 0.7232 0.0546 0.1218
Mg: 0.7232 0.4454 0.6218
Mg: 0.7608 0.0652 0.5176
Mg: 0.7608 0.4348 0.0176
Mg: 0.8071 0.6352 0.3344
Mg: 0.8071 0.8648 0.8344
Ga: 0.0219 0.7271 0.6430
Ga: 0.0219 0.7729 0.1430
Ga: 0.4321 0.6707 0.7350
Ga: 0.4321 0.8293 0.2350
Ga: 0.5679 0.1707 0.7650
Ga: 0.5679 0.3293 0.2650
Ga: 0.9781 0.2271 0.8570
Ga: 0.9781 0.2729 0.3570
Pd: 0.3881 0.2443 0.4675
Pd: 0.3881 0.2557 0.9675
Pd: 0.6119 0.7443 0.0325
Pd: 0.6119 0.7557 0.5325